• Work order:
The reader should work out how many lines below have the word "value" in them; a number is enough.

• Given:
********
Below is an optimized crystal structure of Mo2PdF, with properties calculated at the PBE+U level.

Summary:
For the distance to the lowest polymorph of the same formula, the calculation gives 492 meV/atom. The value obtained for the density of states at the Fermi level is 20.7 states/eV per cell. The total energy comes out at -4.44 eV/atom.

```
data_Mo2PdF
_symmetry_space_group_name_H-M 'F m -3 m'
_symmetry_Int_Tables_number 225
_symmetry_space_group_name_Hall '-F 4 2 3'
_cell_length_a 6.173
_cell_length_b 6.173
_cell_length_c 6.173
_cell_angle_alpha 90.00
_cell_angle_beta 90.00
_cell_angle_gamma 90.00
loop_
_atom_site_label
_atom_site_fract_x
_atom_site_fract_y
_atom_site_fract_z
Mo1 0.250 0.250 0.250
Pd1 0.000 0.000 0.000
F1 0.000 0.000 0.500
```

=====

Record 1
Entry from Alexandria: a geometry-optimized Ba2Zn2Sb structure (PBE).

Cell and atoms, written as POSCAR:
```
Ba2Zn2Sb
1.0
-1.244 0.993 6.336
-3.878 -5.258 0.063
0.610 -4.459 4.187
Zn Ba Sb
2 2 1
Cartesian
-2.893 -5.900 7.093 Zn
-1.619 -2.823 3.493 Zn
-1.598 -2.799 6.861 Ba
-2.914 -5.925 3.725 Ba
0.000 0.000 0.000 Sb
```

## Properties
As for the crystal system: tetragonal. As for the energy relative to the elements, uncorrected: -0.273 eV/atom. Its offset from the most stable computed form is 142 meV per atom.

Record 2
Entry from Alexandria: a geometry-optimized K3Hg3Pb structure (PBE).

Cell and atoms, written as POSCAR:
```
K3Hg3Pb
1.0
5.018 0.000 0.756
2.469 6.612 0.642
0.153 0.131 16.022
K Hg Pb
6 6 2
Cartesian
5.694 5.004 13.306 K
4.094 4.389 6.888 K
2.831 2.089 15.278 K
3.545 2.354 10.532 K
4.809 4.655 2.143 K
1.946 1.739 4.114 K
6.226 4.672 9.775 Hg
0.699 1.208 12.391 Hg
2.817 5.926 15.370 Hg
4.823 0.817 2.051 Hg
1.414 2.071 7.646 Hg
6.941 5.535 5.029 Hg
4.044 0.534 7.222 Pb
3.596 6.209 10.199 Pb
```

## Properties
As for the formation energy: -0.223 eV per atom. As for the crystal system: monoclinic.

Record 3
Entry from Alexandria: a geometry-optimized LiCd3Ni structure (PBE).

Cell and atoms, written as POSCAR:
```
LiCd3Ni
1.0
-2.122 -3.285 3.063
3.066 -3.536 -1.668
3.283 1.178 3.538
Cd Li Ni
3 1 1
Cartesian
-1.061 -1.643 1.532 Cd
1.533 -1.768 -0.834 Cd
1.642 0.589 1.769 Cd
2.113 -2.822 2.466 Li
0.000 0.000 0.000 Ni
```

## Properties
As for the formation energy: 0.090 eV per atom. As for the crystal system: cubic. Its offset from the most stable computed form is 208 meV per atom.

Record 4
Entry from Alexandria: a geometry-optimized Mn8CrCo5 structure (PBE).

Cell and atoms, written as POSCAR:
```
Mn8CrCo5
1.0
5.663 0.288 -1.805
-2.953 4.840 -1.805
-0.152 -0.288 5.942
Mn Co Cr
8 5 1
Cartesian
1.522 0.813 2.370 Mn
0.393 -0.125 4.464 Mn
1.091 4.298 2.578 Mn
0.342 1.517 0.295 Mn
1.005 3.970 0.003 Mn
-0.882 2.837 3.296 Mn
3.289 3.990 -2.673 Mn
3.470 2.061 -1.005 Mn
3.884 1.347 2.727 Co
1.355 2.564 -1.805 Co
4.876 0.873 0.538 Co
2.464 2.588 1.163 Co
2.508 0.321 0.236 Co
-0.875 3.558 1.166 Cr
```

## Properties
As for the formation energy: 0.337 eV per atom. As for the crystal system: tetragonal.

Record 5
Entry from Alexandria: a geometry-optimized Tm3PaP4 structure (PBE).

Cell and atoms, written as POSCAR:
```
Tm3PaP4
1.0
-1.887 -2.943 1.849
3.169 -4.542 -3.995
3.746 1.116 5.599
Tm P Pa
3 4 1
Cartesian
2.514 -3.184 1.727 Tm
1.873 0.558 2.800 Tm
1.584 -2.271 -1.998 Tm
2.659 -1.762 4.139 P
5.186 -2.569 1.203 P
1.729 -0.857 0.401 P
2.369 -4.607 -0.686 P
-0.943 -1.472 0.925 Pa
```

## Properties
As for the formation energy: -1.536 eV per atom. As for the crystal system: orthorhombic.

Record 6
Entry from Alexandria: a geometry-optimized BeRe2Hg structure (PBE).

Cell and atoms, written as POSCAR:
```
BeRe2Hg
1.0
-1.310 0.763 2.246
1.367 -2.300 0.423
7.000 4.621 2.513
Re Hg Be
2 1 1
Cartesian
3.220 2.125 1.156 Re
0.280 0.185 0.101 Re
5.278 2.696 3.219 Hg
1.779 0.386 1.962 Be
```

## Properties
As for the formation energy: 0.612 eV per atom. As for the crystal system: orthorhombic. Its offset from the most stable computed form is 365 meV per atom.

Record 7
********

• Reply:
1